Willard Hurst, Technological Change, and the Transformation of American Public Law

The University of Wisconsin’s James Willard Hurst was arguably the most significant legal historian in the United States. Hurst not only launched the so-called “new” legal history as an alternative to traditional constitutional narrative, but he also founded the interdisciplinary field of “law and society” more generally. And Hurst is most famous for some of his more general observations about the relationship between economic development and the growth of American law. As Lawrence Friedman put it, “[O]n the general question of the relationship between law and the economy, the pioneer work of J. Willard Hurst is still a fundamental starting point. . . .” Much of that work concerned the nineteenth century and law’s role in what Hurst talked about as “the release of creative energy.”

Demystifying Mindreading for the Law

A few summers ago, I was playing in the yard with my kids. I noticed my 3-year-old son pinching the tops off the red lilies we had planted, which were just starting to bloom. I told him to stop. He immediately froze and blurted out “it was an accident!” I surveyed the scene. There were eight decapitated lilies in a row. Eight. I pressed him. “So, you are saying it was an accident, eight times?” He looked down, and then off into the horizon. The jig was up. He furrowed his brow—wondering how I could possibly know it had been intentional. I told him that we generally do not repeat the same movement, accidentally, eight times. He was mystified that I could have known his private thoughts. I told him that he was already developing the ability to read other people’s minds, and it would improve as he got older. He looked at me in awe, as if I had some superpower. But it’s one of the most basic things we humans do. This sort of mindreading—where we look beyond the actual words spoken, to discern someone’s true thoughts through their eye gaze, affect, expressions, character, demeanor, and any other cues—is an essential part of our social lives. By aggregating lots of information about other people’s mental states, past behavior, character (and unfair stereotypes), we decide whether they should be praised, condemned, or forgiven.

Parking Meters: A Roadblock In Chicago’s Ability To Transform Its Streets

The public safety need for social distancing during the COVID-19 pandemic spurred the City of Chicago to begin reimagining its public right of way. One program of particular success was the City’s “Make Way for Dining” program initiated in the summer of 2020. This program created temporary outdoor “Café Streets” and pedestrianized roadways for dining and shopping to support a reeling restaurant industry due to forced closures and prohibitions on indoor dining. The City’s plan to help revive the local economy did come at a cost, however, as the City’s Transportation Commissioner, Gia Biagi, acknowledged that “street closings might require the [C]ity to compensate the consortium that leases Chicago parking meters for any taken out of service.”

2021 Thomas Fairchild Lecture

“My name is Dan Tokaji. I’m the Dean of the University of Wisconsin Law School, and I’m delighted to welcome you to the first Thomas Fairchild Lecture of my deanship and our first virtual Fairchild Lecture… We have an extraordinary speaker for this evening, David Maraniss… David is an acclaimed Pulitzer Prize winning journalist and best-selling author who has in his various books chronicled American life through the lens of sports figures, U.S. Presidents, and everyday heroes. He’s an associate editor at The Washington Post and a distinguished visiting professor at Vanderbilt. He’s won two Pulitzer Prizes for journalism and was a finalist three other times.”

The Seventh Circuit Fires a Warning Shot: “Rights and Benefits” Includes Paid Military Leave When Employers Offer Pay for “Comparable Absences”

As a matter of first impression in the federal appellate courts, a three-judge Seventh Circuit panel broadly interpreted the Uniformed Services Employment and Reemployment Act (“USERRA”), to require private employers under some circumstances to provide paid leave to employees absent from work due to military service. White held that an employer’s failure to provide paid military leave, while on the other hand offering paid leave for other comparable leaves of absence, impermissibly violates USERRA’s equal-treatment rule for reservists and National Guardsmen. The net effect of this holding is clear: service members and employers must understand the Seventh Circuit’s reasoning and its future impact on employment policies and practices.

Changing Demographics and the Future of Religious Exercise

Post-Enlightenment Western religion, and legal frameworks responding to it, place special emphasis on individuality and personal conscience. But as the racial and ethnic makeup of the nation evolves, an increasing portion of the nation’s population follows religious traditions that emphasize communal practices. Thus, as demographics change, the appearance of religious exercise will change too. Recent scholarly critique, which questions robust protections for religious free exercise, should consider how certain protections may be particularly valuable for minority, but growing, religious perspectives. Specifically, protections for institutional free exercise and religious land use, with the proper limitations, should be seriously considered as desirable safeguards of minority rights. Such approaches to religious liberty law would respect the communal and embodied nature of religious life which looks to expand in years to come.

Development is Not a Dinner Party: A Hurstian Perspective on Law and Growth in China

Record 1
AlSIN2 PBE relaxed; calculated volume = 18.49 Å³/atom; Fermi-level density of states = 3.96 states/eV/cell; total DFT energy (no corrections) = -21.3 eV for the cell shown; energy above the most stable polymorph in this dataset = 0.0 meV per atom; formation energy without anion corrections = 0.946 eV per atom
1.0
-1.3435 2.1394 -2.8014
-3.5032 -0.4784 1.3147
0.6723 5.2871 3.7153
I S Al N
1 1 1 2
Direct
0.5000 0.5000 0.5000 I
0.0000 0.0000 0.5000 S
0.0000 0.0000 0.0000 Al
0.0000 0.5000 0.0000 N
0.5000 0.0000 0.0000 N



Record 2
AlS2IN PBE relaxed; calculated volume = 17.89 Å³/atom; Fermi-level density of states = 3.65 states/eV/cell; total DFT energy (no corrections) = -19.3 eV for the cell shown; energy above the most stable polymorph in this dataset = 0.0 meV per atom; formation energy without anion corrections = 0.505 eV per atom
1.0
4.9676 0.0000 0.0000
0.0000 4.9676 0.0000
0.0000 0.0000 3.6255
I S Al N
1 2 1 1
Direct
0.5000 0.5000 0.5000 I
0.0000 0.5000 0.0000 S
0.5000 0.0000 0.0000 S
0.0000 0.0000 0.0000 Al
0.0000 0.0000 0.5000 N



Record 3
AlSIN2 PBE relaxed; calculated volume = 17.18 Å³/atom; Fermi-level density of states = 2.00 states/eV/cell; total DFT energy (no corrections) = -17.8 eV for the cell shown; energy above the most stable polymorph in this dataset = 708.2 meV per atom; formation energy without anion corrections = 1.654 eV per atom
1.0
-1.8842 -2.7019 2.2153
1.2368 -2.8696 -2.4481
4.4879 -0.6480 3.0268
I S Al N
1 1 1 2
Direct
0.0000 0.0000 0.0000 I
0.0000 0.0000 0.5000 S
0.5000 0.5000 0.5000 Al
0.0000 0.5000 0.0000 N
0.5000 0.0000 0.0000 N



Record 4
AlSIN2 PBE relaxed; calculated volume = 19.00 Å³/atom; Fermi-level density of states = 2.71 states/eV/cell; total DFT energy (no corrections) = -17.8 eV for the cell shown; energy above the most stable polymorph in this dataset = 700.2 meV per atom; formation energy without anion corrections = 1.646 eV per atom
1.0
-2.9762 2.3065 -0.1768
-0.8421 -1.3485 -3.4178
-3.8222 -4.7171 2.8028
I S Al N
1 1 1 2
Direct
0.0000 0.0000 0.5000 I
0.0000 0.0000 0.0000 S
0.5000 0.5000 0.5000 Al
0.0000 0.5000 0.0000 N
0.5000 0.0000 0.0000 N



Record 5
ScAlI2N PBE relaxed; calculated volume = 23.66 Å³/atom; Fermi-level density of states = 2.87 states/eV/cell; total DFT energy (no corrections) = -21.9 eV for the cell shown; energy above the most stable polymorph in this dataset = 45.2 meV per atom; formation energy without anion corrections = -0.076 eV per atom
1.0
5.7795 0.0000 0.0000
0.0000 5.7795 0.0000
0.0000 0.0000 3.5415
I Sc Al N
2 1 1 1
Direct
0.0000 0.5000 0.0000 I
0.5000 0.0000 0.0000 I
0.5000 0.5000 0.5000 Sc
0.0000 0.0000 0.0000 Al
0.0000 0.0000 0.5000 N



Record 6
ScAlIN2 PBE relaxed; calculated volume = 16.57 Å³/atom; Fermi-level density of states = 2.65 states/eV/cell; total DFT energy (no corrections) = -26.2 eV for the cell shown; energy above the most stable polymorph in this dataset = 0.0 meV per atom; formation energy without anion corrections = 0.408 eV per atom
1.0
The data records stop here

Much has been written, and remains to be written, about the many roles law has played in China’s economic development since 1978. Without minimizing the value of what has been written so far, this essay seeks to broaden the discussion by applying to China’s recent history certain ideas of the great historian of nineteenth century American law and economic development, James Willard Hurst. The essay proceeds by providing a brief introduction to Hurst and his work on law and economic growth in the United States, then explores how those ideas might be applied to assist our understanding of what has happened in China.

The Political Significance of the Wisconsin School of Contracts

The Wisconsin school of contracts is one of the most important scholarly contributions to the understanding of contracting practices and contract law from the second half of the twentieth century to the present. As part of the broader law and society movement in which Wisconsin scholars played a major part, it shifted focus from law-in-books to law-in-action and brought to light the importance of relationships and the limits of law as central elements of contract in society. As summarized by Stewart Macaulay and William Whitford:

To us, as we use it in connection with contract law, it expresses a widespread interest of how in fact, as opposed to in theory, statutory law and case precedent come into being; how people and businesses use contracts to manage their lives; how disputes in the performance of contracts arise and are settled; and how the resolution of disputes affects the parties to the disputes and influences future parties to contracts.

Vaccines in the Time of COVID-19: How Government and Businesses Can Help Us Reach Herd Immunity

The COVID-19 pandemic continues to wreak havoc on American society. Public health experts agree that the best way to end it is with the development and implementation of a safe and effective vaccine program, and government, private industry and not for profit organizations have already committed billions of dollars towards this end. This Essay will examine three possible approaches that government and businesses can take to increase the likelihood that enough Americans are immunized against the SARS-CoV-2 coronavirus to achieve herd immunity.